**Assignment:**
Work out how many lines further down have the word "Ru" in them; a number is enough.

**Input:**
/*
# KYRu2O8 PBE relaxed
data_KYRu2O8
_symmetry_space_group_name_H-M 'P -3'
_symmetry_Int_Tables_number 147
_symmetry_space_group_name_Hall '-P 3'
_cell_length_a 5.9594
_cell_length_b 5.9594
_cell_length_c 7.6793
_cell_angle_alpha 90.00
_cell_angle_beta 90.00
_cell_angle_gamma 120.00
loop_
_atom_site_label
_atom_site_type_symbol
_atom_site_fract_x
_atom_site_fract_y
_atom_site_fract_z
K1 K 0.0000 0.0000 0.0000
Y1 Y 0.0000 0.0000 0.5000
Ru1 Ru 0.3333 0.6667 0.7654
O1 O 0.1670 0.3373 0.6862
O2 O 0.3333 0.6667 0.9932
# M_tot (μB per formula unit): 4.0
# Raw total energy (eV/atom): -6.96
# Crystal system: trigonal

=====

# TlGa2Ni2 PBE relaxed
data_TlGa2Ni2
_symmetry_space_group_name_H-M 'P 4/m b m'
_symmetry_Int_Tables_number 127
_symmetry_space_group_name_Hall '-P 4 2ab'
_cell_length_a 7.516
_cell_length_b 7.516
_cell_length_c 2.791
_cell_angle_alpha 90.00
_cell_angle_beta 90.00
_cell_angle_gamma 90.00
loop_
_atom_site_label
_atom_site_type_symbol
_atom_site_fract_x
_atom_site_fract_y
_atom_site_fract_z
Tl1 Tl 0.000 0.000 0.000
Ga1 Ga 0.135 0.365 0.000
Ni1 Ni 0.153 0.653 0.500
# M_tot (μB per formula unit): 0.0
# Raw total energy (eV/atom): -3.99
# Crystal system: tetragonal
# Formation energy from the elements (eV per atom): 0.009
# Energy above the most stable polymorph in this dataset (meV/atom): 55

=====

# TmTl2GeTe4 PBE relaxed
data_TmTl2GeTe4
_symmetry_space_group_name_H-M 'P 1 2/m 1'
_symmetry_Int_Tables_number 10
_symmetry_space_group_name_Hall '-P 2y'
_cell_length_a 7.732
_cell_length_b 4.352
_cell_length_c 8.198
_cell_angle_alpha 90.00
_cell_angle_beta 108.37
_cell_angle_gamma 90.00
loop_
_atom_site_label
_atom_site_type_symbol
_atom_site_fract_x
_atom_site_fract_y
_atom_site_fract_z
Tm1 Tm 0.000 0.000 0.000
Tl1 Tl 0.000 0.500 0.500
Tl2 Tl 0.500 0.000 0.500
Ge1 Ge 0.500 0.500 0.000
Te1 Te 0.242 0.500 0.211
Te2 Te 0.262 0.000 0.789
# M_tot (μB per formula unit): 0.0
# Raw total energy (eV/atom): -3.85
# Crystal system: monoclinic

=====

# HRhI2N PBE relaxed
data_HRhI2N
_symmetry_space_group_name_H-M 'P 4/m m m'
_symmetry_Int_Tables_number 123
_symmetry_space_group_name_Hall '-P 4 2'
_cell_length_a 5.712
_cell_length_b 5.712
_cell_length_c 3.653
_cell_angle_alpha 90.00
_cell_angle_beta 90.00
_cell_angle_gamma 90.00
loop_
_atom_site_label
_atom_site_type_symbol
_atom_site_fract_x
_atom_site_fract_y
_atom_site_fract_z
H1 H 0.000 0.000 0.000
Rh1 Rh 0.500 0.500 0.500
I1 I 0.000 0.500 0.500
N1 N 0.500 0.500 0.000
# M_tot (μB per formula unit): 0.9
# Raw total energy (eV/atom): -3.62
# Crystal system: tetragonal
# Energy above the most stable polymorph in this dataset (meV/atom): 0

=====

# In4Ru3 PBE relaxed
data_In4Ru3
_symmetry_space_group_name_H-M 'P 6/m m m'
_symmetry_Int_Tables_number 191
_symmetry_space_group_name_Hall '-P 6 2'
_cell_length_a 5.4367
_cell_length_b 5.4367
_cell_length_c 5.1920
_cell_angle_alpha 90.00
_cell_angle_beta 90.00
_cell_angle_gamma 120.00
loop_
_atom_site_label
_atom_site_type_symbol
_atom_site_fract_x
_atom_site_fract_y
_atom_site_fract_z
In1 In 0.0000 0.0000 0.2486
In2 In 0.3333 0.6667 0.5000
Ru1 Ru 0.0000 0.5000 0.0000
# M_tot (μB per formula unit): 3.0
# Raw total energy (eV/atom): -5.27
# Crystal system: hexagonal
# Formation energy from the elements (eV per atom): 0.273

=====

# YMg2Cu4 PBE relaxed
data_YMg2Cu4
_symmetry_space_group_name_H-M 'I 4/m c m'
_symmetry_Int_Tables_number 140
_symmetry_space_group_name_Hall '-I 4 2c'
_cell_length_a 7.666
_cell_length_b 7.666
_cell_length_c 8.226
_cell_angle_alpha 90.00
_cell_angle_beta 90.00
_cell_angle_gamma 90.00
loop_
_atom_site_label
_atom_site_type_symbol
_atom_site_fract_x
_atom_site_fract_y
_atom_site_fract_z
Y1 Y 0.000 0.000 0.250
Mg1 Mg 0.157 0.343 0.000
Cu1 Cu 0.142 0.358 0.329
# M_tot (μB per formula unit): 0.0
# Raw total energy (eV/atom): -3.86
# Crystal system: tetragonal
# Formation energy from the elements (eV per atom): -0.141
# Energy above the most stable polymorph in this dataset (meV/atom): 41

=====
*/

**Response:**
2